Page 9 of Absent Mercy

<A>
A relaxed structure of LiFe2F7. Source: the Materials Project, functional PBE+U.

Summary:
**SG**: Pna2_1
**Density**: 2.723 g/cm3

Cell lengths 7.5701, 8.0157, 10.1164 Å; angles 90.00, 90.00, 90.00 degrees
Closest atoms and distances in Å follow each position.
Positions (direct):
F  0.0233  0.5923  0.4715  1 Fe 1.85, 1 Li 1.92
F  0.8615  0.4267  0.9833  2 Fe 1.95-2.00
F  0.4428  0.4536  0.2716  1 Fe 1.86, 1 Li 1.91
F  0.1976  0.2521  0.0446  2 Fe 1.89-2.05
F  0.8895  0.3429  0.3058  1 Fe 1.86, 1 Li 1.91
F  0.7869  0.6521  0.2128  2 Fe 1.93-2.00
F  0.3799  0.6180  0.6202  1 Fe 1.84, 1 Li 1.90
F  0.4767  0.5923  0.9715  1 Fe 1.85, 1 Li 1.92
F  0.2869  0.1521  0.2872  2 Fe 1.93-2.00
Li  0.1304  0.6139  0.6426  4 F 1.90-1.92
Li  0.8696  0.1139  0.3574  4 F 1.90-1.92
Fe  0.6821  0.5430  0.8807  5 F 1.85-2.05
Li  0.6304  0.1139  0.8574  4 F 1.90-1.92
F  0.6201  0.1180  0.3798  1 Fe 1.84, 1 Li 1.90
F  0.6976  0.7521  0.4554  2 Fe 1.89-2.05
F  0.5233  0.0923  0.0285  1 Fe 1.85, 1 Li 1.92
Fe  0.5459  0.7850  0.6020  5 F 1.84-2.00
F  0.9428  0.9536  0.2284  1 Fe 1.86, 1 Li 1.91
Li  0.3696  0.6139  0.1426  4 F 1.90-1.92
Fe  0.1821  0.0430  0.6193  5 F 1.85-2.05
F  0.0572  0.4536  0.7716  1 Fe 1.86, 1 Li 1.91
F  0.1201  0.6180  0.1202  1 Fe 1.84, 1 Li 1.90
F  0.2131  0.1521  0.7872  2 Fe 1.93-2.00
F  0.1105  0.8429  0.6942  1 Fe 1.86, 1 Li 1.91
F  0.8799  0.1180  0.8798  1 Fe 1.84, 1 Li 1.90
Fe  0.4541  0.2850  0.3980  5 F 1.84-2.00
F  0.1385  0.9267  0.0167  2 Fe 1.95-2.00
Fe  0.8179  0.5430  0.3807  5 F 1.85-2.05
F  0.6105  0.3429  0.8058  1 Fe 1.86, 1 Li 1.91
F  0.3024  0.2521  0.5446  2 Fe 1.89-2.05
F  0.5572  0.9536  0.7284  1 Fe 1.86, 1 Li 1.91
F  0.3615  0.9267  0.5167  2 Fe 1.95-2.00
Fe  0.3179  0.0430  0.1193  5 F 1.85-2.05
F  0.9767  0.0923  0.5285  1 Fe 1.85, 1 Li 1.92
F  0.6385  0.4267  0.4833  2 Fe 1.95-2.00
F  0.7131  0.6521  0.7128  2 Fe 1.93-2.00
Fe  0.9541  0.7850  0.1020  5 F 1.84-2.00
F  0.8024  0.7521  0.9554  2 Fe 1.89-2.05
Fe  0.0459  0.2850  0.8980  5 F 1.84-2.00
F  0.3895  0.8429  0.1942  1 Fe 1.86, 1 Li 1.91

<B>
A relaxed structure of LiFe2F7. Source: the Materials Project, functional PBE+U.

Summary:
**SG**: P2_1/m
**Density**: 2.876 g/cm3

Cell lengths 9.3947, 5.1605, 6.0218 Å; angles 84.42, 90.00, 90.00 degrees
Closest atoms and distances in Å follow each position.
Positions (direct):
F  0.0439  0.7557  0.6303  1 Fe 1.85, 1 Li 1.96
F  0.5439  0.2443  0.3697  1 Fe 1.85, 1 Li 1.96
Li  0.7500  0.2989  0.3476  4 F 1.96-1.98
F  0.2500  0.5112  0.3852  1 Li 1.96, 2 Fe 2.05
F  0.7500  0.4888  0.6148  1 Li 1.96, 2 Fe 2.05
F  0.9561  0.2443  0.3697  1 Fe 1.85, 1 Li 1.96
Li  0.2500  0.7011  0.6524  4 F 1.96-1.98
F  0.7500  0.8940  0.8013  2 Fe 2.00
F  0.0052  0.2894  0.9019  2 Fe 1.98-1.99
F  0.2500  0.5416  0.9643  1 Li 1.98, 2 Fe 2.05
Fe  0.9020  0.6211  0.8205  6 F 1.85-2.05
F  0.7500  0.4584  0.0357  1 Li 1.98, 2 Fe 2.05
Fe  0.0980  0.3789  0.1795  6 F 1.85-2.05
F  0.4948  0.2894  0.9019  2 Fe 1.98-1.99

Colm was doneholding back. He went over to a desk on which he had set out plans, scraps ofpaper, blueprints. At the heart of it all sat a simple, leather-bound diary.Amber’s diary.

No, not just adiary. That would not have been enough to hold Colm’s attention, and franklywould have made him think less of Amber. This was a workbook. A workbook inwhich Amber kept track of her puzzles, her strategies, her progress. It heldideas for puzzles she was planning to set as the former editor of theWashingtonNews’puzzle page. It contained ideas for things that she was still workingup to constructing. The kind of puzzles that would stump most people, but notColm.

Colm picked up thediary and opened it to a random page, scanning the puzzles and notes Amber hadmade. He began to formulate a plan in his mind, anticipating the thrill of thechallenge.

Colm had beenstudying this diary since he took it from Amber’s apartment, learningeverything he could about her. He knew her routines, her habits, her friends.He knew her fears, her doubts, her secret desires. He knew the way her mindworked.

He had to admit,Amber was a fascinating puzzle. He had always enjoyed studying people,analyzing their behavior, understanding their motivations. Empathy might be alie, but understanding people made it easier to manipulate them.

Colm wondered idlyif Amber had realized that the diary was missing yet. He smiled at the thought.Of course she hadn’t. Amber was too busy with her cases, too preoccupied withsolving puzzles of a different kind. He knew that it was only a matter of timebefore she did. But Colm wasn’t worried. He had already planned for thateventuality, and he was confident that he could stay ahead of Amber and thepolice.

Colm closed thediary. He knew all there was to know about Amber Young now. Soon enough, hewould be able to construct the perfect puzzle for her. The perfect game, for aworthy opponent.


“This is theplace.”

Amber looked oneagerly as Detective Angelique drove her and Simon to examine the warehousewhere Emily Chen had died.

As they approachedthe building, Amber could feel her excitement building. She couldn’t help butwonder what kind of evidence she would encounter there. She had studied thecrime scene photos and reports, but she knew that seeing it in person would bean entirely different experience. It might be enough to let her see something new,something that wasn’t in the reports, to let her find a way into this case.

Amber felt a noteof unease in among the excitement at the potential to make progress with thecase. The warehouse was dark and ominous, and the yellow police tape only addedto the eerie atmosphere, providing a tangible reminder of the horrific crimethat had taken place within.

Amber’s nervesbegan to settle. She jumped out of the car and made her way to the entrance,taking note of the surrounding area. The warehouse was located in an industrialarea, with a few other similar buildings nearby.

Francesca led theway as they entered the warehouse, her flashlight casting a beam of light infront of them. The walls were lined with shelves and crates, arranged seeminglyat random.

Amber’s focus wason looking for anything that might relate to the murder. She shuddered,thinking about what Emily must have gone through before her death.

Simon’s handbrushed against Amber’s arm, bringing her back to the present. She looked up athim, grateful for the support. He gave her a reassuring smile before turninghis attention back to the warehouse.

“Is this a placethat Emily Chen had any connection to?” Simon asked Francesca.

The detectiveshook her head. “Not that we know of. We’re exploring all possibilities, butright now we don’t have any leads that connect her to this warehouse. Nothingthat makes any sense.”

“She was amarketing consultant, right?” Amber said.

“That’s right,”Francesca said. “But if you’re thinking that she might have done marketing workfor this place, there’s no connection there. It’s an abandoned warehouse that’sbeen used as a dumping ground for stolen goods and drugs. It’s not the safestof places and definitely not somewhere Emily would have been if she had achoice.”

“So she wassnatched elsewhere and brought here, right?” Simon asked. “Do we know exactlywhere she was grabbed?”

Francesca shrugged.“We’ve been able to trace her movements up until about half an hour before herdisappearance. She was last seen leaving a coffee shop about a block away fromher office building. We’re still trying to piece together what happened in thattime gap, but it’s likely that’s when the killer snatched her.”

“And brought herhere,” Amber said. She tried to steel herself for the part that she knew had tocome next. “Can you show us the spot?”

Francesca nodded.They continued to move through the warehouse as a trio. They came to a set ofsteps leading down to a basement level, and Francesca led the way. There waslight down here, so Francesca no longer needed her flashlight.

“It was dark whenI reached this point,” Francesca said. “The forensic team seems to have leftlights on down there, but I had to look using my flashlight.”

Amber could hearthe pain there. She wondered what it had been like for the detective, coming inhere alone, trying to find the victim of a serial killer. Had she been hopefulthat she would be in time? Had she known in her heart that she was going to betoo late? Had she been afraid of what she would find?

Amber listenedintently as they descended into the basement. The air was musty and damp, witha faint scent of decay. The space was large and open, with no walls to separatethe various areas. Crates seemed to be arranged in clumps, some opened,presumably as the local PD checked on what had been left there if it was thedumping ground for illegal goods that Francesca suggested.

As they walked,Francesca pointed out the area where Emily Chen had been found. It was in thefar corner of the basement, in a small, separate room, the door to which nowhung open.

The three of themstepped inside. That was when Amber got her first sight of the pulley system.It was a complex mechanism, rigged with servos that seemed to be connected totransmitters, all within a large metal frame. There was no body there now, buteven so, Amber could feel her revulsion at the sight of it.

“The forensicpeople think that this was connected to the website where the killer sent us toplay his twisted game of hangman,” Francesca said, with a note of anger. “Theyanalyzed the pulley systems we recovered. They think that every time we took aguess, the pulley lifted the noose slightly higher. Every time we got onewrong, it was worse.”